[Entries]
┌──
Entry 1:
Compound: Cr2SiIr
Source: the Alexandria database
Functional: SCAN
Structure: PBEsol geometry

Output
- ΔE_f (raw) (kJ/mol of formula units) = -141
- volume (Å³ per atom) = 11.95
- space group = No. 71
- M_tot (μB/cell) = 0.000

Cell lengths 2.864, 3.995, 4.846 Å; angles 114.34, 107.19, 90.00 degrees
Positions (direct):
Cr (0.738, 0.738, 0.476)
Cr (0.262, 0.262, 0.524)
Ir (0.500, 0.000, 0.000)
Si (0.000, 0.500, 0.000)

Entry 2:
Compound: CrSiIr2
Source: the Alexandria database
Functional: SCAN
Structure: PBEsol geometry

Output
- ΔE_f (raw) (kJ/mol of formula units) = -6
- volume (Å³ per atom) = 13.17
- space group = No. 216
- M_tot (μB/cell) = 0.001

Cell lengths 4.208, 4.208, 4.208 Å; angles 60.00, 60.00, 60.00 degrees
Positions (direct):
Cr (0.500, 0.500, 0.500)
Ir (0.000, 0.000, 0.000)
Ir (0.250, 0.250, 0.250)
Si (0.750, 0.750, 0.750)

Entry 3:
Compound: CrSiIr2
Source: the Alexandria database
Functional: SCAN
Structure: PBEsol geometry

Output
- ΔE_f (raw) (kJ/mol of formula units) = -153
- volume (Å³ per atom) = 13.05
- space group = No. 119
- M_tot (μB/cell) = 2.385

Cell lengths 3.693, 3.693, 4.634 Å; angles 113.48, 113.48, 90.00 degrees
Site moments in Bohr magnetons follow the coordinates.
Positions (direct):
Cr (0.250, 0.750, 0.500)  2.68
Ir (0.000, 0.000, 0.000)  -0.32
Ir (0.750, 0.250, 0.500)  -0.03
Si (0.500, 0.500, 0.000)  -0.06

Entry 4:
Compound: Cr2SiIr
Source: the Alexandria database
Functional: SCAN
Structure: PBEsol geometry

Output
- ΔE_f (raw) (kJ/mol of formula units) = -16
- volume (Å³ per atom) = 12.31
- space group = No. 166
- M_tot (μB/cell) = 0.005

Cell lengths 2.629, 2.629, 8.366 Å; angles 80.96, 80.96, 60.00 degrees
Positions (direct):
Cr (0.252, 0.252, 0.244)
Cr (0.748, 0.748, 0.756)
Ir (0.500, 0.500, 0.500)
Si (0.000, 0.000, 0.000)

Entry 5:
Compound: Cr2SiIr
Source: the Alexandria database
Functional: SCAN
Structure: PBEsol geometry

Output
- ΔE_f (raw) (kJ/mol of formula units) = -110
- volume (Å³ per atom) = 12.07
- space group = No. 44
- M_tot (μB/cell) = 0.094

Cell lengths 2.831, 4.200, 4.786 Å; angles 116.03, 107.20, 90.00 degrees
Site moments in Bohr magnetons follow the coordinates.
Positions (direct):
Cr (0.993, 0.993, 0.987)  -2.05
Cr (0.738, 0.238, 0.476)  2.13
Ir (0.513, 0.513, 0.026)  -0.14
Si (0.256, 0.756, 0.512)  -0.03

Entry 6:
Compound: Cr2SiIr
Source: the Alexandria database
Functional: SCAN
Structure: PBEsol geometry

Output
- ΔE_f (raw) (kJ/mol of formula units) = -141
- volume (Å³ per atom) = 12.28
- space group = No. 8
- M_tot (μB/cell) = 0.025

Cell lengths 2.778, 4.418, 4.431 Å; angles 107.00, 90.00, 108.32 degrees
Site moments in Bohr magnetons follow the coordinates.
Positions (direct):
Cr (0.012, 0.025, 0.054)  2.02
Cr (0.730, 0.460, 0.179)  -2.03
Ir (0.504, 0.007, 0.549)  0.00
Si (0.254, 0.508, 0.719)  0.04

Entry 7:
Compound: CrSiIr2
Source: the Alexandria database
Functional: SCAN
Structure: PBEsol geometry

Output
- ΔE_f (raw) (kJ/mol of formula units) = -230
- volume (Å³ per atom) = 13.05
- space group = No. 139
- M_tot (μB/cell) = 2.161

Cell lengths 3.860, 4.442, 3.860 Å; angles 64.25, 90.00, 115.75 degrees
Site moments in Bohr magnetons follow the coordinates.
Positions (direct):
Cr (0.000, 0.000, 0.000)  2.19
Si (0.500, 0.000, 0.500)  -0.02
Ir (0.250, 0.500, 0.250)  -0.06
Ir (0.750, 0.500, 0.750)  -0.06

Entry 8:
Compound: CrSiIr2
Source: the Alexandria database
Functional: SCAN
Structure: PBEsol geometry

Output
- ΔE_f (raw) (kJ/mol of formula units) = -196
- volume (Å³ per atom) = 13.06
- space group = No. 65
- M_tot (μB/cell) = 2.792

Cell lengths 2.766, 4.398, 4.398 Å; angles 102.51, 90.00, 90.00 degrees
Site moments in Bohr magnetons follow the coordinates.
Positions (direct):
Cr (0.500, 0.500, 0.500)  2.75
Ir (0.000, 0.500, 0.000)  -0.04
Ir (0.000, 0.000, 0.500)  -0.04
Si (0.500, 0.000, 0.000)  0.00

Entry 9:
Compound: CrSiIr2
Source: the Alexandria database
Functional: SCAN
Structure: PBEsol geometry

Output
└──
[What to do]
Next, repeat all of the listing above unchanged.
[Result]
Entry 1:
Compound: Cr2SiIr
Source: the Alexandria database
Functional: SCAN
Structure: PBEsol geometry

Output
- ΔE_f (raw) (kJ/mol of formula units) = -141
- volume (Å³ per atom) = 11.95
- space group = No. 71
- M_tot (μB/cell) = 0.000

Cell lengths 2.864, 3.995, 4.846 Å; angles 114.34, 107.19, 90.00 degrees
Positions (direct):
Cr (0.738, 0.738, 0.476)
Cr (0.262, 0.262, 0.524)
Ir (0.500, 0.000, 0.000)
Si (0.000, 0.500, 0.000)

Entry 2:
Compound: CrSiIr2
Source: the Alexandria database
Functional: SCAN
Structure: PBEsol geometry

Output
- ΔE_f (raw) (kJ/mol of formula units) = -6
- volume (Å³ per atom) = 13.17
- space group = No. 216
- M_tot (μB/cell) = 0.001

Cell lengths 4.208, 4.208, 4.208 Å; angles 60.00, 60.00, 60.00 degrees
Positions (direct):
Cr (0.500, 0.500, 0.500)
Ir (0.000, 0.000, 0.000)
Ir (0.250, 0.250, 0.250)
Si (0.750, 0.750, 0.750)

Entry 3:
Compound: CrSiIr2
Source: the Alexandria database
Functional: SCAN
Structure: PBEsol geometry

Output
- ΔE_f (raw) (kJ/mol of formula units) = -153
- volume (Å³ per atom) = 13.05
- space group = No. 119
- M_tot (μB/cell) = 2.385

Cell lengths 3.693, 3.693, 4.634 Å; angles 113.48, 113.48, 90.00 degrees
Site moments in Bohr magnetons follow the coordinates.
Positions (direct):
Cr (0.250, 0.750, 0.500)  2.68
Ir (0.000, 0.000, 0.000)  -0.32
Ir (0.750, 0.250, 0.500)  -0.03
Si (0.500, 0.500, 0.000)  -0.06

Entry 4:
Compound: Cr2SiIr
Source: the Alexandria database
Functional: SCAN
Structure: PBEsol geometry

Output
- ΔE_f (raw) (kJ/mol of formula units) = -16
- volume (Å³ per atom) = 12.31
- space group = No. 166
- M_tot (μB/cell) = 0.005

Cell lengths 2.629, 2.629, 8.366 Å; angles 80.96, 80.96, 60.00 degrees
Positions (direct):
Cr (0.252, 0.252, 0.244)
Cr (0.748, 0.748, 0.756)
Ir (0.500, 0.500, 0.500)
Si (0.000, 0.000, 0.000)

Entry 5:
Compound: Cr2SiIr
Source: the Alexandria database
Functional: SCAN
Structure: PBEsol geometry

Output
- ΔE_f (raw) (kJ/mol of formula units) = -110
- volume (Å³ per atom) = 12.07
- space group = No. 44
- M_tot (μB/cell) = 0.094

Cell lengths 2.831, 4.200, 4.786 Å; angles 116.03, 107.20, 90.00 degrees
Site moments in Bohr magnetons follow the coordinates.
Positions (direct):
Cr (0.993, 0.993, 0.987)  -2.05
Cr (0.738, 0.238, 0.476)  2.13
Ir (0.513, 0.513, 0.026)  -0.14
Si (0.256, 0.756, 0.512)  -0.03

Entry 6:
Compound: Cr2SiIr
Source: the Alexandria database
Functional: SCAN
Structure: PBEsol geometry

Output
- ΔE_f (raw) (kJ/mol of formula units) = -141
- volume (Å³ per atom) = 12.28
- space group = No. 8
- M_tot (μB/cell) = 0.025

Cell lengths 2.778, 4.418, 4.431 Å; angles 107.00, 90.00, 108.32 degrees
Site moments in Bohr magnetons follow the coordinates.
Positions (direct):
Cr (0.012, 0.025, 0.054)  2.02
Cr (0.730, 0.460, 0.179)  -2.03
Ir (0.504, 0.007, 0.549)  0.00
Si (0.254, 0.508, 0.719)  0.04

Entry 7:
Compound: CrSiIr2
Source: the Alexandria database
Functional: SCAN
Structure: PBEsol geometry

Output
- ΔE_f (raw) (kJ/mol of formula units) = -230
- volume (Å³ per atom) = 13.05
- space group = No. 139
- M_tot (μB/cell) = 2.161

Cell lengths 3.860, 4.442, 3.860 Å; angles 64.25, 90.00, 115.75 degrees
Site moments in Bohr magnetons follow the coordinates.
Positions (direct):
Cr (0.000, 0.000, 0.000)  2.19
Si (0.500, 0.000, 0.500)  -0.02
Ir (0.250, 0.500, 0.250)  -0.06
Ir (0.750, 0.500, 0.750)  -0.06

Entry 8:
Compound: CrSiIr2
Source: the Alexandria database
Functional: SCAN
Structure: PBEsol geometry

Output
- ΔE_f (raw) (kJ/mol of formula units) = -196
- volume (Å³ per atom) = 13.06
- space group = No. 65
- M_tot (μB/cell) = 2.792

Cell lengths 2.766, 4.398, 4.398 Å; angles 102.51, 90.00, 90.00 degrees
Site moments in Bohr magnetons follow the coordinates.
Positions (direct):
Cr (0.500, 0.500, 0.500)  2.75
Ir (0.000, 0.500, 0.000)  -0.04
Ir (0.000, 0.000, 0.500)  -0.04
Si (0.500, 0.000, 0.000)  0.00

Entry 9:
Compound: CrSiIr2
Source: the Alexandria database
Functional: SCAN
Structure: PBEsol geometry

Output